Activity.
Duplicate all of the block further down exactly.
Listing.
/*
[1]
TlHgF4: calculated powder diffractogram (Cu Kα), based on the PBE geometry in Alexandria.
Peak positions follow from Bragg's law for the DFT cell and can differ from measured ones.

The 6 most intense peaks (2θ from 10° to 80°), sorted by position:
- 2θ 26.96, rel. 100, (0 2 2)
- 2θ 27.09, rel. 99, (2 0 2)
- 2θ 31.35, rel. 43, (2 2 0)
- 2θ 44.82, rel. 91, (2 2 4)
- 2θ 53.08, rel. 64, (2 4 2)
- 2θ 53.32, rel. 32, (4 2 2)

Structural model:
```
data_TlHgF4
_chemical_formula_sum 'Tl8 Hg8 F32'
_symmetry_space_group_name_H-M 'F d d d'
_symmetry_Int_Tables_number 70
_cell_length_a 8.044
_cell_length_b 8.099
_cell_length_c 11.459
_cell_angle_alpha 90.00
_cell_angle_beta 90.00
_cell_angle_gamma 90.00
loop_
_symmetry_equiv_pos_as_xyz
'x,y,z'
'-x,-y,-z'
'-x+1/4,-y+1/4,z'
'x+1/4,y+1/4,-z'
'x,-y+1/4,-z+1/4'
'-x,y+1/4,z+1/4'
'-x+1/4,y,-z+1/4'
'x+1/4,-y,z+1/4'
'x,y+1/2,z+1/2'
'-x,-y+1/2,-z+1/2'
'-x+1/4,-y+3/4,z+1/2'
'x+1/4,y+3/4,-z+1/2'
'x,-y+3/4,-z+3/4'
'-x,y+3/4,z+3/4'
'-x+1/4,y+1/2,-z+3/4'
'x+1/4,-y+1/2,z+3/4'
'x+1/2,y,z+1/2'
'-x+1/2,-y,-z+1/2'
'-x+3/4,-y+1/4,z+1/2'
'x+3/4,y+1/4,-z+1/2'
'x+1/2,-y+1/4,-z+3/4'
'-x+1/2,y+1/4,z+3/4'
'-x+3/4,y,-z+3/4'
'x+3/4,-y,z+3/4'
'x+1/2,y+1/2,z'
'-x+1/2,-y+1/2,-z'
'-x+3/4,-y+3/4,z'
'x+3/4,y+3/4,-z'
'x+1/2,-y+3/4,-z+1/4'
'-x+1/2,y+3/4,z+1/4'
'-x+3/4,y+1/2,-z+1/4'
'x+3/4,-y+1/2,z+1/4'
loop_
_atom_site_label
_atom_site_fract_x
_atom_site_fract_y
_atom_site_fract_z
Tl1 0.125 0.125 0.125
Hg1 0.125 0.125 0.625
F1 0.124 0.374 0.000
```


[2]
Tl3Hg2F7: calculated powder diffractogram (Cu Kα), based on the PBE geometry in Alexandria.
Peak positions follow from Bragg's law for the DFT cell and can differ from measured ones.

The 6 most intense peaks (2θ from 10° to 80°), sorted by position:
- 2θ 27.10, rel. 63, (1 1 0)
- 2θ 27.48, rel. 100, (1 0 5)
- 2θ 38.70, rel. 34, (2 0 0)
- 2θ 48.12, rel. 45, (2 1 5)
- 2θ 48.82, rel. 17, (1 1 10)
- 2θ 56.73, rel. 15, (2 0 10)

Structural model:
```
data_Tl3Hg2F7
_chemical_formula_sum 'Tl6 Hg4 F14'
_symmetry_space_group_name_H-M 'I 4/m m m'
_symmetry_Int_Tables_number 139
_symmetry_space_group_name_Hall '-I 4 2'
_cell_length_a 4.653
_cell_length_b 4.653
_cell_length_c 22.646
_cell_angle_alpha 90.00
_cell_angle_beta 90.00
_cell_angle_gamma 90.00
loop_
_atom_site_label
_atom_site_fract_x
_atom_site_fract_y
_atom_site_fract_z
Tl1 0.000 0.000 0.000
Tl2 0.000 0.000 0.184
Hg1 0.000 0.000 0.398
F1 0.000 0.000 0.297
F2 0.000 0.000 0.500
F3 0.000 0.500 0.097
```


[3]
Tl2Hg2F: calculated powder diffractogram (Cu Kα), based on the PBE geometry in Alexandria.
Peak positions follow from Bragg's law for the DFT cell and can differ from measured ones.

The 6 most intense peaks (2θ from 10° to 80°), sorted by position:
- 2θ 24.48, rel. 21, (2 0 0)
- 2θ 32.11, rel. 100, (2 1 1)
- 2θ 33.08, rel. 23, (0 0 2)
- 2θ 39.18, rel. 14, (3 1 0)
- 2θ 54.74, rel. 22, (4 1 1)
- 2θ 58.48, rel. 19, (2 1 3)

Structural model:
```
data_Tl2Hg2F
_chemical_formula_sum 'Tl4 Hg4 F2'
_symmetry_space_group_name_H-M 'P 4/m b m'
_symmetry_Int_Tables_number 127
_symmetry_space_group_name_Hall '-P 4 2ab'
_cell_length_a 7.271
_cell_length_b 7.271
_cell_length_c 5.416
_cell_angle_alpha 90.00
_cell_angle_beta 90.00
_cell_angle_gamma 90.00
loop_
_atom_site_label
_atom_site_fract_x
_atom_site_fract_y
_atom_site_fract_z
Tl1 0.180 0.320 0.000
Hg1 0.155 0.655 0.500
F1 0.000 0.000 0.000
```


- What is the formula in the first record?
  TlHgF4

=====

Diffraction record for SrSe5. The X-ray diffraction stick pattern is theoretical, not measured: it uses the GGA-PBE geometry in Alexandria and Cu Kα.
Lines closer than 0.1° are merged.

Main lines, low angle first (2θ from 5° to 70°):
| two_theta | I_rel | hkl |
| --- | --- | --- |
| 20.4 | 100 | 1 -1 1 |
| 21.2 | 93 | -1 1 1 |
| 27.6 | 88 | 0 1 2 |
| 28.1 | 62 | 1 -2 0 |
| 33.0 | 63 | 2 1 -1 |
| 37.4 | 66 | 1 2 1 |

```
data_SrSe5
_symmetry_space_group_name_H-M 'P -1'
_symmetry_Int_Tables_number 2
_cell_length_a 6.1912
_cell_length_b 7.0933
_cell_length_c 9.1562
*/
Worked solution.
[1]
TlHgF4: calculated powder diffractogram (Cu Kα), based on the PBE geometry in Alexandria.
Peak positions follow from Bragg's law for the DFT cell and can differ from measured ones.

The 6 most intense peaks (2θ from 10° to 80°), sorted by position:
- 2θ 26.96, rel. 100, (0 2 2)
- 2θ 27.09, rel. 99, (2 0 2)
- 2θ 31.35, rel. 43, (2 2 0)
- 2θ 44.82, rel. 91, (2 2 4)
- 2θ 53.08, rel. 64, (2 4 2)
- 2θ 53.32, rel. 32, (4 2 2)

Structural model:
```
data_TlHgF4
_chemical_formula_sum 'Tl8 Hg8 F32'
_symmetry_space_group_name_H-M 'F d d d'
_symmetry_Int_Tables_number 70
_cell_length_a 8.044
_cell_length_b 8.099
_cell_length_c 11.459
_cell_angle_alpha 90.00
_cell_angle_beta 90.00
_cell_angle_gamma 90.00
loop_
_symmetry_equiv_pos_as_xyz
'x,y,z'
'-x,-y,-z'
'-x+1/4,-y+1/4,z'
'x+1/4,y+1/4,-z'
'x,-y+1/4,-z+1/4'
'-x,y+1/4,z+1/4'
'-x+1/4,y,-z+1/4'
'x+1/4,-y,z+1/4'
'x,y+1/2,z+1/2'
'-x,-y+1/2,-z+1/2'
'-x+1/4,-y+3/4,z+1/2'
'x+1/4,y+3/4,-z+1/2'
'x,-y+3/4,-z+3/4'
'-x,y+3/4,z+3/4'
'-x+1/4,y+1/2,-z+3/4'
'x+1/4,-y+1/2,z+3/4'
'x+1/2,y,z+1/2'
'-x+1/2,-y,-z+1/2'
'-x+3/4,-y+1/4,z+1/2'
'x+3/4,y+1/4,-z+1/2'
'x+1/2,-y+1/4,-z+3/4'
'-x+1/2,y+1/4,z+3/4'
'-x+3/4,y,-z+3/4'
'x+3/4,-y,z+3/4'
'x+1/2,y+1/2,z'
'-x+1/2,-y+1/2,-z'
'-x+3/4,-y+3/4,z'
'x+3/4,y+3/4,-z'
'x+1/2,-y+3/4,-z+1/4'
'-x+1/2,y+3/4,z+1/4'
'-x+3/4,y+1/2,-z+1/4'
'x+3/4,-y+1/2,z+1/4'
loop_
_atom_site_label
_atom_site_fract_x
_atom_site_fract_y
_atom_site_fract_z
Tl1 0.125 0.125 0.125
Hg1 0.125 0.125 0.625
F1 0.124 0.374 0.000
```


[2]
Tl3Hg2F7: calculated powder diffractogram (Cu Kα), based on the PBE geometry in Alexandria.
Peak positions follow from Bragg's law for the DFT cell and can differ from measured ones.

The 6 most intense peaks (2θ from 10° to 80°), sorted by position:
- 2θ 27.10, rel. 63, (1 1 0)
- 2θ 27.48, rel. 100, (1 0 5)
- 2θ 38.70, rel. 34, (2 0 0)
- 2θ 48.12, rel. 45, (2 1 5)
- 2θ 48.82, rel. 17, (1 1 10)
- 2θ 56.73, rel. 15, (2 0 10)

Structural model:
```
data_Tl3Hg2F7
_chemical_formula_sum 'Tl6 Hg4 F14'
_symmetry_space_group_name_H-M 'I 4/m m m'
_symmetry_Int_Tables_number 139
_symmetry_space_group_name_Hall '-I 4 2'
_cell_length_a 4.653
_cell_length_b 4.653
_cell_length_c 22.646
_cell_angle_alpha 90.00
_cell_angle_beta 90.00
_cell_angle_gamma 90.00
loop_
_atom_site_label
_atom_site_fract_x
_atom_site_fract_y
_atom_site_fract_z
Tl1 0.000 0.000 0.000
Tl2 0.000 0.000 0.184
Hg1 0.000 0.000 0.398
F1 0.000 0.000 0.297
F2 0.000 0.000 0.500
F3 0.000 0.500 0.097
```


[3]
Tl2Hg2F: calculated powder diffractogram (Cu Kα), based on the PBE geometry in Alexandria.
Peak positions follow from Bragg's law for the DFT cell and can differ from measured ones.

The 6 most intense peaks (2θ from 10° to 80°), sorted by position:
- 2θ 24.48, rel. 21, (2 0 0)
- 2θ 32.11, rel. 100, (2 1 1)
- 2θ 33.08, rel. 23, (0 0 2)
- 2θ 39.18, rel. 14, (3 1 0)
- 2θ 54.74, rel. 22, (4 1 1)
- 2θ 58.48, rel. 19, (2 1 3)

Structural model:
```
data_Tl2Hg2F
_chemical_formula_sum 'Tl4 Hg4 F2'
_symmetry_space_group_name_H-M 'P 4/m b m'
_symmetry_Int_Tables_number 127
_symmetry_space_group_name_Hall '-P 4 2ab'
_cell_length_a 7.271
_cell_length_b 7.271
_cell_length_c 5.416
_cell_angle_alpha 90.00
_cell_angle_beta 90.00
_cell_angle_gamma 90.00
loop_
_atom_site_label
_atom_site_fract_x
_atom_site_fract_y
_atom_site_fract_z
Tl1 0.180 0.320 0.000
Hg1 0.155 0.655 0.500
F1 0.000 0.000 0.000
```


- What is the formula in the first record?
  TlHgF4

=====

Diffraction record for SrSe5. The X-ray diffraction stick pattern is theoretical, not measured: it uses the GGA-PBE geometry in Alexandria and Cu Kα.
Lines closer than 0.1° are merged.

Main lines, low angle first (2θ from 5° to 70°):
| two_theta | I_rel | hkl |
| --- | --- | --- |
| 20.4 | 100 | 1 -1 1 |
| 21.2 | 93 | -1 1 1 |
| 27.6 | 88 | 0 1 2 |
| 28.1 | 62 | 1 -2 0 |
| 33.0 | 63 | 2 1 -1 |
| 37.4 | 66 | 1 2 1 |

```
data_SrSe5
_symmetry_space_group_name_H-M 'P -1'
_symmetry_Int_Tables_number 2
_cell_length_a 6.1912
_cell_length_b 7.0933
_cell_length_c 9.1562